(Input)
____________
{"formula": "Fe2TcHg", "functional": "PBE", "state": "optimized geometry", "formation_energy_mev_per_atom": 595, "magnetic_moment_mub_per_cell": 4.147, "e_tot_ha_per_atom": -0.2317, "vol_a3_per_atom": 14.88, "lattice_angstrom": [[0.000, 3.099, 3.099], [3.099, 0.000, 3.099], [3.099, 3.099, 0.000]], "species": ["Fe", "Fe", "Tc", "Hg"], "frac_coords": [[0.000, 0.000, 0.000], [0.250, 0.250, 0.250], [0.500, 0.500, 0.500], [0.750, 0.750, 0.750]]}

=====

{"formula": "Fe2TcHg", "functional": "PBE", "state": "optimized geometry", "formation_energy_mev_per_atom": 452, "magnetic_moment_mub_per_cell": 5.213, "e_tot_ha_per_atom": -0.2369, "vol_a3_per_atom": 14.67, "lattice_angstrom": [[-1.474, 2.226, 4.471], [1.474, -2.226, 4.471], [1.474, 2.226, -4.471]], "species": ["Fe", "Fe", "Tc", "Hg"], "frac_coords": [[0.000, 0.000, 0.000], [0.783, 0.283, 0.500], [0.243, 0.743, 0.500], [0.522, 0.522, 0.000]]}

=====

{"formula": "FeTcHg4", "functional": "PBE", "state": "optimized geometry", "formation_energy_mev_per_atom": 972, "magnetic_moment_mub_per_cell": 5.457, "e_tot_ha_per_atom": -0.0870, "vol_a3_per_atom": 20.87, "lattice_angstrom": [[0.000, 3.971, 3.971], [3.971, 0.000, 3.971], [3.971, 3.971, 0.000]], "species": ["Fe", "Tc", "Hg", "Hg", "Hg", "Hg"], "frac_coords": [[0.000, 0.000, 0.000], [0.250, 0.250, 0.250], [0.125, 0.625, 0.625], [0.625, 0.125, 0.625], [0.625, 0.625, 0.125], [0.625, 0.625, 0.625]]}

=====

{"formula": "Fe2TcHg", "functional": "PBE", "state": "optimized geometry", "formation_energy_mev_per_atom": 426, "magnetic_moment_mub_per_cell": 5.145, "e_tot_ha_per_atom": -0.2378, "vol_a3_per_atom": 15.02, "lattice_angstrom": [[1.622, -2.159, 0.000], [1.622, 2.159, 0.000], [0.000, 0.000, 8.581]], "species": ["Fe", "Fe", "Tc", "Hg"], "frac_coords": [[0.000, 0.000, 0.000], [0.500, 0.500, 0.213], [0.000, 0.000, 0.440], [0.500, 0.500, 0.730]]}

=====

{"formula": "Fe2TcHg", "functional": "PBE", "state": "optimized geometry", "formation_energy_mev_per_atom": 350, "magnetic_moment_mub_per_cell": 3.673, "e_tot_ha_per_atom": -0.2406, "vol_a3_per_atom": 14.63, "lattice_angstrom": [[2.766, 0.000, 0.000], [0.000, 2.766, 0.000], [0.000, 0.000, 7.651]], "species": ["Fe", "Fe", "Tc", "Hg"], "frac_coords": [[0.000, 0.000, 0.225], [0.000, 0.000, 0.775], [0.500, 0.500, 0.000], [0.500, 0.500, 0.500]]}

=====

{"formula": "FeTc3Hg", "functional": "PBE", "state": "optimized geometry", "formation_energy_mev_per_atom": 1232, "magnetic_moment_mub_per_cell": 1.454, "e_tot_ha_per_atom": -0.2477, "vol_a3_per_atom": 17.56, "lattice_angstrom": [[4.444, 0.000, 0.000], [0.000, 4.444, 0.000], [0.000, 0.000, 4.444]], "species": ["Fe", "Tc", "Tc", "Tc", "Hg"], "frac_coords": [[0.000, 0.000, 0.000], [0.000, 0.000, 0.500], [0.000, 0.500, 0.000], [0.500, 0.000, 0.000], [0.500, 0.500, 0.500]]}

* * * * *

## CeNdSm2Ho5 (GGA-PBE)

Data for crystalline CeNdSm2Ho5 at its relaxed geometry.

The structure in CIF format:
```
data_CeNdSm2Ho5
_space_group_name_H-M_alt 'I 4/m c m'
_space_group_IT_number 140
_space_group_name_Hall '-I 4 2c'
_cell_length_a 8.683
_cell_length_b 8.683
_cell_length_c 15.400
_cell_angle_alpha 90.00
_cell_angle_beta 90.00
_cell_angle_gamma 90.00
loop_
_atom_site_label
_atom_site_type_symbol
_atom_site_fract_x
_atom_site_fract_y
_atom_site_fract_z
Ce1 Ce 0.000 0.500 0.250
Nd1 Nd 0.000 0.000 0.250
Sm1 Sm 0.119 0.381 0.000
Ho1 Ho 0.000 0.000 0.000
Ho2 Ho 0.203 0.297 0.362
```

Total moment: 1.02 μB per formula unit
Energy of formation: 0.2703 eV per atom
Calculated volume: 1161.0 Å³ per cell
____________
(Work order)
Now return the part of the data further up that starts with the line with "_space_group_name_Hall '-I" and stops after the one with "0.119 0.381".
(Here it is)
_space_group_name_Hall '-I 4 2c'
_cell_length_a 8.683
_cell_length_b 8.683
_cell_length_c 15.400
_cell_angle_alpha 90.00
_cell_angle_beta 90.00
_cell_angle_gamma 90.00
loop_
_atom_site_label
_atom_site_type_symbol
_atom_site_fract_x
_atom_site_fract_y
_atom_site_fract_z
Ce1 Ce 0.000 0.500 0.250
Nd1 Nd 0.000 0.000 0.250
Sm1 Sm 0.119 0.381 0.000